File:
~~~
[1]
The following is a simulated X-ray diffraction stick pattern of Hf4TiAl3. It was derived from a crystal structure in Alexandria, relaxed with PBE, using copper Kα.
Peak positions follow from Bragg's law for the DFT cell and can differ from measured ones.

Structural model:
```
data_Hf4TiAl3
_symmetry_space_group_name_H-M 'P m m a'
_symmetry_Int_Tables_number 51
_symmetry_space_group_name_Hall '-P 2a 2a'
_cell_length_a 9.8131
_cell_length_b 6.1066
_cell_length_c 5.1039
_cell_angle_alpha 90.00
_cell_angle_beta 90.00
_cell_angle_gamma 90.00
loop_
_atom_site_label
_atom_site_type_symbol
_atom_site_fract_x
_atom_site_fract_y
_atom_site_fract_z
Hf1 Hf 0.0000 0.2471 0.0000
Hf2 Hf 0.2500 0.2489 0.3628
Ti1 Ti 0.0000 0.0000 0.5000
Al1 Al 0.0000 0.5000 0.5000
Al2 Al 0.2500 0.0000 0.8465
Al3 Al 0.2500 0.5000 0.8537
```

Peak list (10 most intense, 2θ from 10° to 90°, by angle)
hkl 1 0 1, d 4.528, I 293
hkl 2 0 1, d 3.537, I 734
hkl 0 2 0, d 3.053, I 373
hkl 1 2 1, d 2.532, I 266
hkl 1 0 2, d 2.470, I 204
hkl 4 0 0, d 2.453, I 436
hkl 2 2 1, d 2.311, I 1000
hkl 2 0 2, d 2.264, I 246
hkl 4 2 0, d 1.912, I 203
hkl 6 2 1, d 1.387, I 236


[2]
The following is a simulated X-ray diffraction stick pattern of Pa2ZnGe3Ir6. It was derived from a crystal structure in Alexandria, relaxed with PBE, using copper Kα.
Peak positions follow from Bragg's law for the DFT cell and can differ from measured ones.

Structural model:
```
data_Pa2ZnGe3Ir6
_symmetry_space_group_name_H-M 'P 4/m m m'
_symmetry_Int_Tables_number 123
_symmetry_space_group_name_Hall '-P 4 2'
_cell_length_a 4.0066
_cell_length_b 4.0066
_cell_length_c 15.3849
_cell_angle_alpha 90.00
_cell_angle_beta 90.00
_cell_angle_gamma 90.00
loop_
_atom_site_label
_atom_site_type_symbol
_atom_site_fract_x
_atom_site_fract_y
_atom_site_fract_z
Pa1 Pa 0.0000 0.0000 0.2291
Zn1 Zn 0.0000 0.0000 0.5000
Ge1 Ge 0.5000 0.5000 0.0000
Ge2 Ge 0.5000 0.5000 0.3101
Ir1 Ir 0.0000 0.5000 0.3950
Ir2 Ir 0.5000 0.5000 0.1540
```

Peak list (10 most intense, 2θ from 10° to 90°, by angle)
hkl 0 0 2, d 7.692, I 455
hkl 0 0 5, d 3.077, I 402
hkl 1 1 1, d 2.786, I 963
hkl 1 0 4, d 2.775, I 617
hkl 1 1 2, d 2.659, I 659
hkl 1 1 3, d 2.480, I 512
hkl 1 1 4, d 2.281, I 710
hkl 1 0 6, d 2.160, I 402
hkl 2 0 0, d 2.003, I 1000
hkl 1 0 7, d 1.927, I 416


[3]
The following is a simulated X-ray diffraction stick pattern of Ca4PaPd5. It was derived from a crystal structure in Alexandria, relaxed with PBE, using copper Kα.
Peak positions follow from Bragg's law for the DFT cell and can differ from measured ones.

Structural model:
```
data_Ca4PaPd5
_symmetry_space_group_name_H-M 'P 4/m m m'
_symmetry_Int_Tables_number 123
_symmetry_space_group_name_Hall '-P 4 2'
_cell_length_a 3.5363
_cell_length_b 3.5363
_cell_length_c 17.8647
_cell_angle_alpha 90.00
_cell_angle_beta 90.00
_cell_angle_gamma 90.00
loop_
_atom_site_label
_atom_site_type_symbol
_atom_site_fract_x
_atom_site_fract_y
_atom_site_fract_z
Ca1 Ca 0.0000 0.0000 0.0980
Ca2 Ca 0.0000 0.0000 0.2945
Pa1 Pa 0.0000 0.0000 0.5000
Pd1 Pd 0.5000 0.5000 0.0000
Pd2 Pd 0.5000 0.5000 0.1967
Pd3 Pd 0.5000 0.5000 0.4122
```

Peak list (10 most intense, 2θ from 10° to 90°, by angle)
hkl 0 0 3, d 5.955, I 140
hkl 1 0 1, d 3.469, I 82
hkl 1 0 5, d 2.513, I 1000
hkl 1 1 0, d 2.501, I 513
hkl 0 0 10, d 1.786, I 80
hkl 2 0 0, d 1.768, I 177
hkl 1 1 10, d 1.454, I 157
hkl 2 1 5, d 1.446, I 345
hkl 2 0 10, d 1.257, I 95
hkl 3 1 0, d 1.118, I 79


[4]
The following is a simulated X-ray diffraction stick pattern of Ag4PdAu5. It was derived from a crystal structure in Alexandria, relaxed with PBE, using copper Kα.
Peak positions follow from Bragg's law for the DFT cell and can differ from measured ones.

Structural model:
```
data_Ag4PdAu5
_symmetry_space_group_name_H-M 'P -1'
_symmetry_Int_Tables_number 2
_symmetry_space_group_name_Hall '-P 1'
_cell_length_a 5.0623
_cell_length_b 5.0698
_cell_length_c 7.6862
_cell_angle_alpha 71.26
_cell_angle_beta 71.01
_cell_angle_gamma 81.29
loop_
~~~

Activity:
Print everything above exactly.

Completed:
[1]
The following is a simulated X-ray diffraction stick pattern of Hf4TiAl3. It was derived from a crystal structure in Alexandria, relaxed with PBE, using copper Kα.
Peak positions follow from Bragg's law for the DFT cell and can differ from measured ones.

Structural model:
```
data_Hf4TiAl3
_symmetry_space_group_name_H-M 'P m m a'
_symmetry_Int_Tables_number 51
_symmetry_space_group_name_Hall '-P 2a 2a'
_cell_length_a 9.8131
_cell_length_b 6.1066
_cell_length_c 5.1039
_cell_angle_alpha 90.00
_cell_angle_beta 90.00
_cell_angle_gamma 90.00
loop_
_atom_site_label
_atom_site_type_symbol
_atom_site_fract_x
_atom_site_fract_y
_atom_site_fract_z
Hf1 Hf 0.0000 0.2471 0.0000
Hf2 Hf 0.2500 0.2489 0.3628
Ti1 Ti 0.0000 0.0000 0.5000
Al1 Al 0.0000 0.5000 0.5000
Al2 Al 0.2500 0.0000 0.8465
Al3 Al 0.2500 0.5000 0.8537
```

Peak list (10 most intense, 2θ from 10° to 90°, by angle)
hkl 1 0 1, d 4.528, I 293
hkl 2 0 1, d 3.537, I 734
hkl 0 2 0, d 3.053, I 373
hkl 1 2 1, d 2.532, I 266
hkl 1 0 2, d 2.470, I 204
hkl 4 0 0, d 2.453, I 436
hkl 2 2 1, d 2.311, I 1000
hkl 2 0 2, d 2.264, I 246
hkl 4 2 0, d 1.912, I 203
hkl 6 2 1, d 1.387, I 236


[2]
The following is a simulated X-ray diffraction stick pattern of Pa2ZnGe3Ir6. It was derived from a crystal structure in Alexandria, relaxed with PBE, using copper Kα.
Peak positions follow from Bragg's law for the DFT cell and can differ from measured ones.

Structural model:
```
data_Pa2ZnGe3Ir6
_symmetry_space_group_name_H-M 'P 4/m m m'
_symmetry_Int_Tables_number 123
_symmetry_space_group_name_Hall '-P 4 2'
_cell_length_a 4.0066
_cell_length_b 4.0066
_cell_length_c 15.3849
_cell_angle_alpha 90.00
_cell_angle_beta 90.00
_cell_angle_gamma 90.00
loop_
_atom_site_label
_atom_site_type_symbol
_atom_site_fract_x
_atom_site_fract_y
_atom_site_fract_z
Pa1 Pa 0.0000 0.0000 0.2291
Zn1 Zn 0.0000 0.0000 0.5000
Ge1 Ge 0.5000 0.5000 0.0000
Ge2 Ge 0.5000 0.5000 0.3101
Ir1 Ir 0.0000 0.5000 0.3950
Ir2 Ir 0.5000 0.5000 0.1540
```

Peak list (10 most intense, 2θ from 10° to 90°, by angle)
hkl 0 0 2, d 7.692, I 455
hkl 0 0 5, d 3.077, I 402
hkl 1 1 1, d 2.786, I 963
hkl 1 0 4, d 2.775, I 617
hkl 1 1 2, d 2.659, I 659
hkl 1 1 3, d 2.480, I 512
hkl 1 1 4, d 2.281, I 710
hkl 1 0 6, d 2.160, I 402
hkl 2 0 0, d 2.003, I 1000
hkl 1 0 7, d 1.927, I 416


[3]
The following is a simulated X-ray diffraction stick pattern of Ca4PaPd5. It was derived from a crystal structure in Alexandria, relaxed with PBE, using copper Kα.
Peak positions follow from Bragg's law for the DFT cell and can differ from measured ones.

Structural model:
```
data_Ca4PaPd5
_symmetry_space_group_name_H-M 'P 4/m m m'
_symmetry_Int_Tables_number 123
_symmetry_space_group_name_Hall '-P 4 2'
_cell_length_a 3.5363
_cell_length_b 3.5363
_cell_length_c 17.8647
_cell_angle_alpha 90.00
_cell_angle_beta 90.00
_cell_angle_gamma 90.00
loop_
_atom_site_label
_atom_site_type_symbol
_atom_site_fract_x
_atom_site_fract_y
_atom_site_fract_z
Ca1 Ca 0.0000 0.0000 0.0980
Ca2 Ca 0.0000 0.0000 0.2945
Pa1 Pa 0.0000 0.0000 0.5000
Pd1 Pd 0.5000 0.5000 0.0000
Pd2 Pd 0.5000 0.5000 0.1967
Pd3 Pd 0.5000 0.5000 0.4122
```

Peak list (10 most intense, 2θ from 10° to 90°, by angle)
hkl 0 0 3, d 5.955, I 140
hkl 1 0 1, d 3.469, I 82
hkl 1 0 5, d 2.513, I 1000
hkl 1 1 0, d 2.501, I 513
hkl 0 0 10, d 1.786, I 80
hkl 2 0 0, d 1.768, I 177
hkl 1 1 10, d 1.454, I 157
hkl 2 1 5, d 1.446, I 345
hkl 2 0 10, d 1.257, I 95
hkl 3 1 0, d 1.118, I 79


[4]
The following is a simulated X-ray diffraction stick pattern of Ag4PdAu5. It was derived from a crystal structure in Alexandria, relaxed with PBE, using copper Kα.
Peak positions follow from Bragg's law for the DFT cell and can differ from measured ones.

Structural model:
```
data_Ag4PdAu5
_symmetry_space_group_name_H-M 'P -1'
_symmetry_Int_Tables_number 2
_symmetry_space_group_name_Hall '-P 1'
_cell_length_a 5.0623
_cell_length_b 5.0698
_cell_length_c 7.6862
_cell_angle_alpha 71.26
_cell_angle_beta 71.01
_cell_angle_gamma 81.29
loop_